Falling In Love At The Worst Time

Alex's Unexpected Surprises and Rayne's Dates

**Alex’s POV**

Here the text breaks off for calculated crystals:
+++
P | DFT (GGA-PBE) results for a geometry-optimized Tl2Sn2S5 structure.

```
9
Lattice="5.411 0.000 0.000 -2.706 6.585 -0.263 0.000 -1.303 7.460" Properties=species:S:1:pos:R:3 pbc="T T T"
Tl 2.706 0.911 2.530
Tl 0.000 4.371 4.668
S 0.000 1.300 4.111
S 2.706 3.982 3.086
S 0.000 0.000 0.000
S 0.000 4.240 0.352
S 2.706 1.041 6.845
Sn 2.706 4.351 0.773
Sn 0.000 0.930 6.425
```

Properties
D(E_F) ... 0.167 states/eV per atom

---

Q | DFT (GGA-PBE) results for a geometry-optimized Tl2Sn2S5 structure.

```
18
Lattice="6.916 0.009 -0.004 2.350 6.504 -0.004 2.982 2.096 11.017" Properties=species:S:1:pos:R:3 pbc="T T T"
Tl 5.863 2.384 9.003
Tl 2.737 3.662 3.494
Tl 9.512 4.948 7.514
Tl 6.386 6.226 2.006
S 2.684 2.411 0.419
S 7.580 5.852 5.081
S 6.216 2.590 2.750
S 4.668 2.758 5.928
S 3.209 5.776 1.264
S 9.564 6.199 10.590
S 6.033 6.020 8.259
S 8.013 2.112 6.773
S 4.236 6.498 4.236
S 9.040 2.834 9.744
Sn 6.653 1.322 4.862
Sn 5.596 7.288 6.147
Sn 7.261 1.749 0.639
Sn 4.988 6.861 10.370
```

---

Unit: meV per atom. Relative energies: P 155; Q 0.

---

P | DFT (GGA-PBE) results for a geometry-optimized TlSnS3 structure.

```
10
Lattice="-0.968 1.892 3.049 -9.106 -3.584 -2.931 1.707 -5.861 4.179" Properties=species:S:1:pos:R:3 pbc="T T T"
Tl -7.995 -1.618 0.732
Tl -0.371 -5.935 3.565
Sn -6.216 -5.697 1.563
Sn -2.150 -1.856 2.734
S -2.272 -4.283 1.936
S -0.153 -1.805 1.071
S -3.831 -0.641 1.447
S -8.213 -5.748 3.225
S -4.535 -6.912 2.850
S -6.094 -3.271 2.360
```

Properties
D(E_F) ... 0.458 states/eV per atom

---

Q | DFT (GGA-PBE) results for a geometry-optimized TlSnS3 structure.

```
5
Lattice="5.068 0.000 0.000 0.000 5.068 0.000 0.000 0.000 5.068" Properties=species:S:1:pos:R:3 pbc="T T T"
S 2.534 0.000 0.000
S 0.000 2.534 0.000
S 0.000 0.000 2.534
Sn 0.000 0.000 0.000
Tl 2.534 2.534 2.534
```

Properties
D(E_F) ... 0.657 states/eV per atom

---

Unit: meV per atom. Relative energies: P 0; Q 159.

---

P | DFT (GGA-PBE) results for a geometry-optimized TlSnS structure.

```
3
Lattice="3.690 0.000 0.000 -1.845 3.195 0.000 0.000 0.000 6.982" Properties=species:S:1:pos:R:3 pbc="T T T"
S 0.000 2.130 4.408
Sn 1.845 1.065 2.775
Tl 0.000 0.000 6.779
```

Properties
D(E_F) ... 0.304 states/eV per atom

---

Q | DFT (GGA-PBE) results for a geometry-optimized TlSnS structure.

```
18
Lattice="3.769 0.000 0.000 0.000 5.644 0.000 0.000 0.000 26.700" Properties=species:S:1:pos:R:3 pbc="T T T"
Tl 1.885 1.877 11.414
Tl 0.000 4.050 3.697
Tl 0.000 3.767 24.764
Tl 0.000 1.436 5.635
Tl 1.885 4.207 18.985
Tl 1.885 1.594 17.047
S 0.000 5.047 16.799
S 0.000 3.477 8.263
S 1.885 2.597 14.353
S 0.000 3.047 1.003
S 1.885 0.597 3.449
S 1.885 2.167 21.613
Sn 0.000 4.568 10.737
Sn 1.885 1.076 24.087
Sn 1.885 5.328 8.277
Sn 0.000 0.316 21.627
Sn 0.000 4.384 14.276
Sn 1.885 1.259 0.926
```

Properties
D(E_F) ... 0.169 states/eV per atom

---

Unit: meV per atom. Relative energies: P 0; Q 14.
+++
End of the calculated crystals:

“Wakey, wakey, pancakie!” I heard someone sing in my ear and giggle. The voice sounded familiar but I couldn’t put a finger on it. I opened one eye and peeked out. I screamed. I saw my other best friend Natalie Colon. She’s a famous singer much like Demi Lovato and Taylor Swift. I jumped out of bed and hugged her.

“Holy crap! What are you doing here?” I practically yelled in her face.

“Well we missed you and Rayne and we plus we got tickets to the show. So we’re here!” she jumped up and down. She must have a sugar high. Well she always has one.

“Um, who’s we?” I asked. I looked around the room and no one was in here.

“Hehe, yeah about that. There in Matt’s room, so get dressed and we’ll go.” I huffed and walked into the bathroom and took a quick shower. I walked out and put my converse on when I noticed what Nat was wearing.

“Is that my shirt?” She looked down at it then shrugged.

“Maybe, maybe not,” she smirked. I fake glared at her and she smiled and grabbed my hand as we walked out of the room. I groaned in annoyance as I heard her heels making noise on the floor.

“Must you always wear heels?” I asked.

“Yep.” She smiled, but her smile faded away once we got to Matt’s room. “Okay I must worn you don’t freak out when-” She was cut off when someone opened the door and pulled me into a bone crushing hug. The person finally let go and I saw who it was. Zeek O’Connor. He’s Rayne’s older brother. He’s awesome most of the time but can also be an idiot.

“Hey Lex. You still looking hot!” Zeek smiled and I saw Matt and Brian glare at him.

“Dude the last time I saw you was a week ago. I haven’t changed.” I said as he wrapped his arm around my shoulders.

“So it’s only you two who came?” I asked.

“No me too,” I heard the voice of Trevor Andrews. I looked toward him and he was sitting next to Jimmy and Val. I would have jumped on him and strangled him if Zeek’s arm wasn’t around my shoulder. He probably knew what I would do.

“What are you doing here?” I spat at him with venom coating my words.

“Well my best friend invited me plus I wanted to see you,” he said walking toward me.

“You invited him?! God damn your such a fucking idiot,” I yelled at Zeek. He sheepishly nodded. I looked back at Trevor, “Well I don’t give a fuck if he invited you, you cant stay at this hotel! Plus what would even make you think I wanted to fucking see you again?!”

“Uh oh. This is gonna get bad,” Raynemuttered to Ronnie.

“Oh common you still cant be mad at me for what happened a month ago!” he yelled back.

“It may have been a month ago, but what you did I don’t think anyone would forgive you!”

“Come on, it didn’t mean anything with them. I still lov-” I got out of Zeek’s grip and jumped on Trevor and started punching the hell out of him. Moments later Matt, Ronnie, and Brain were all restraining me. Yep it had to take three guys to hold me back.

“Will someone tell me why the fuck you tried to beat the hell out of him?” Matt asked.

“Oh yeah I’ll be pleased to tell you. Let’s see where do I, start how about when that fucking douche bag cheated on me with fucking four girls!” The three of them let go of me and walked up to Trevor along with all the other guys.

“Your so dead!” Matt told him before punching him square in the face.

“Matt, he’s not worth it. He had some good beatings from other people so it doesn’t matter. All I want is for him to get the hell out of my sight,” I said rather calmly.

Trevor nodded and when he walked past me he whispered, “This isn’t over.”

“Well this just ruined my day,” I muttered.

“I told you if you brought him things would be bad,” Nat said as she slapped Zeek.

“Sorry. I told him he could come just don’t talk,” he said.

“Anyways I’m hungry. Anyone wanna go get,” I stopped at looked at the clock that read 1:25,” lunch.” Brian, Rayne, Nat, Zeek, and Ronnie nodded. We walked down to the lobby and when we were about to get into the car, Zacky came running out the hotel.

“Wait for me! I’m hungry too!” Zack said as he slid into the back seat.

“When are you not hungry Zacky?” Brian laughed. Everyone laughed and Zacky pouted.

“Are you okay?” Brian asked as we walked inside the Denny’s.

“About what? Trevor?” I asked looking toward the ground.


“Yeah I’m fine. Just happy he left.” But then I remembered what he whispered and shuttered.

“Well we’re always here for you Alex,” he smiled as he wrapped his arm around my shoulders. We all sat down. It was Zacky, Ronnie, Rayne, Nat, me, Brian, and then Zeek.

“So sexy Lexi meet any hot guys lately?” Zeek asked wiggling his eyebrows. “I see my sister has,” he said looking at Rayne and Ronnie flirting not even listening to us.

“Um, no not yet.” I lied. Truth was there was a hot guy next to me.

Haha you just admitted he was hot.

Oh no, your back again.

I’m your conscience I never leave idiot. And you didn’t denied you think he‘s hot.

Go away I don’t feel like arguing.


“What?’ I snapped.

“Order your damn food,” I looked and saw the waitress was here. I blushed and ordered.

“What were you thinking about?” Nat asked so no one else heard.


“It was something. And plus you were staring at Brian. I wanna know,” she whined.


“I wanna know now,” she whined louder. And she was just gonna get louder. I sighed.

“I’ll give you some skittles if you shut up now and I’ll tell you later.” I showed her skittles.

“Okay,” she chirped and grabbed the bag. Gosh she does love skittles.

{Time elapse 6:30:}

“Alright everyone out of the room except Nat and Rayne,” I said to everyone as we were sitting around playing guitar hero and stuff.

“Why?” Jimmy pouted.

“Because Rayne and Ronnie’s date is at 8. And she needs to get ready no out!” everyone left the room and Rayne tried to leave to. She never really like getting ready and such..

“Oh no you don’t sit down,” I said as I grabbed Rayne’s arm.

“Yeah now we get to make Rayne all pretty,” Nat bounced up and down and clapped her hands.

“Are you saying I aren’t pretty now?” Rayne asked Nat.

“Um, I’m going to get the make-up,” she said and ran into the bathroom. Rayne huffed.

“All right so what kinda date is it?” I asked as I went to her suitcases.

“Dinner and a movie.”

“Okay now tell me what your were thinking about earlier,” Nat said when she walked out of the bathroom. Crap. And I thought I could avoid it “Okay” I sighed and told her everything that happened since we been on tour, she especially wanted every detail when I started talking about Brian.

“Oh my god. Why aren’t you with Brian?“ Nat shouted at me when I finished.

“Because… I don’t like him.” I said it more of a question than an answer.

“Pshh. You so do like him. I mean you even liked even when you were younger!”

“Whatever we’ll talk about this another time. Rayne it’s 7:45, go get Ronnie. Have a good time on your date,” I said and hugged her and did Nat.

**Rayne’s POV**
I walked to Ronnie’s room and knocked on the door. He opened it and looked at me

“Wow you look nice,” he said as we walked to the car.

“As do you,” I smiled. We got in the car as we drove to the restaurant and had small talk.

{time elapse after the date:}

Ronnie and I were walking back to my room when he stopped me.

“I had a nice time tonight,” he smiled.

“So did I it was nice. But there’s something else I wanted to do before this date was over,” I said

“What is that?”

“This,” I said and pushed my lips up to his. I had to stand on my toes a little cause I’m like 5’3 and he’s around 5’10 or something. He smiled into the kiss and our lips moved together. It was getting pretty heated until he finally pulled away.

“Well that was the most best kiss I had but I think we should go the bed. And you wouldn’t wanna keep Nat and Alex waiting any longer,” he smirked.

“What do you mean by that?” I asked.

“Well I’m sure they are probably waiting for you to walk through that door and bombard you with questions,”

“I’m sure your right. Night Ronnie,” I said and kissed him one last time before I went to get my key card. But the door was thrown open by Alex and Nat smiling like crazy

“Tell us everything!” they yelled before pulling me in the room.
♠ ♠ ♠
Alex's Outfit
Nat's Outfit
Rayne's Outfit
Rayne's Date outfit

Haha Alex had to be held back by Brian, Matt and Ronnie! haha
Aww Rayne and Ronnie kissed!! :)